"But…" Felix frowns.

"Raven—" Quentin begins.

I shake my head. "No, both of you need to listen to me. You cannot fight like this, and definitely not over me. Felix,"—I turn to him—"you broke up with me at the altar, with a text message sent to your best man."

Felix reddens, but he stays silent.

"As for you, Quentin?—"

The furrow between his eyebrows deepens. No doubt, it’s because I called him Quentin, and he wants me to call him Q. But this is my bid to hold onto what shreds of dignity I have left in this farce, so I’m not giving him the satisfaction of knowing I do think of him as Q in my mind. "—you don’t know me, yet you proposed, knowing it’d put me on the spot. Knowing?—"

"You couldn’t say no," he completes my statement.

"—it’s the worst kind of situation to go from wanting to marry the son to the father."

"Does it bother you what people think of you?" He inclines his head.

"Wow, just wow!” I slap my palms on my waist. “Way to minimize the issue, Q.”

He flushes a little, then holds up a hand. “I apologize if you felt belittled in any way. I also apologize that Felix and I spoke around you. That was wrong of us.”

“You think?” I huff. Some of the anger inside me nevertheless fades at his words.

He glares at Felix, who’s watching our exchange with a look of disbelief.

“Felix?" he prompts.

Felix continues to stare at us.

"Aren’t you forgetting something?" Q growls.

“What?” Felix shakes his head. “Uh, yeah”—he clears his throat—“sorry about that.” He shifts his weight from foot to foot as if he wishes he were somewhere else.

It’s a lame expression of regret, but whatever. “Apology accepted,” I say in a cool tone.

Felix flushes further. He hunches his thin shoulders, then lets his gaze slide away. The tension in the room builds again.

Q clears his throat, drawing my attention back to him.

“For what it’s worth, it was a genuine question,” he offers.

“The desire to present a favorable image to others is thought to be a universal human motivation across cultures." The words are out before I can stop them.

Q seems taken aback, then his eyes gleam.

He doesn’t seem annoyed by my penchant for spouting weird facts when I’m nervous. In fact, he seems to enjoy my ramblings. I pretend not to notice the appreciative edge to his features.

# Between two parts of the page: data records
'''
The following is a DFT calculation (PBE with a Hubbard U) of a relaxed structure of BiW18O60.

Summary:
Total DFT energy (no corrections) (eV/atom): -7.07
ΔH_f (0 K) (eV/atom): -1.848

Cell and atoms, written as POSCAR:
```
BiW18O60
1.0
9.7379 5.6222 6.1386
-9.7379 5.6222 6.1386
0.0000 -11.2444 6.1386
Bi W O
1 18 60
Direct
0.0000 0.0000 0.0000
0.0026 0.3543 0.0596
0.0106 0.0723 0.7203
0.0596 0.0026 0.3543
0.0723 0.7203 0.0106
0.1500 0.8491 0.8032
0.1641 0.3870 0.3019
0.2241 0.2712 0.9226
0.2712 0.9226 0.2241
0.3019 0.1641 0.3870
0.3543 0.0596 0.0026
0.3870 0.3019 0.1641
0.6813 0.7639 0.9025
0.7203 0.0106 0.0723
0.7639 0.9025 0.6813
0.8032 0.1500 0.8491
0.8491 0.8032 0.1500
0.9025 0.6813 0.7639
0.9226 0.2241 0.2712
0.0012 0.9352 0.4442
0.0139 0.8457 0.9097
0.0279 0.3473 0.3515
0.0415 0.7310 0.7241
0.0524 0.2426 0.1699
0.0680 0.1353 0.6272
0.0860 0.9543 0.7349
0.0899 0.4490 0.1868
0.1042 0.1515 0.8559
0.1229 0.3443 0.9875
0.1353 0.6272 0.0680
0.1515 0.8559 0.1042
0.1557 0.8990 0.3127
0.1699 0.0524 0.2426
0.1766 0.7604 0.9164
0.1868 0.0899 0.4490
0.2136 0.2720 0.3669
0.2176 0.9668 0.9260
0.2244 0.5010 0.3960
0.2426 0.1699 0.0524
0.2431 0.3318 0.8135
0.2575 0.8320 0.7396
0.2720 0.3669 0.2136
0.3127 0.1557 0.8990
0.3318 0.8135 0.2431
0.3443 0.9875 0.1229
0.3473 0.3515 0.0279
0.3515 0.0279 0.3473
0.3669 0.2136 0.2720
0.3960 0.2244 0.5010
0.4442 0.0012 0.9352
0.4490 0.1868 0.0899
0.5010 0.3960 0.2244
0.5639 0.6720 0.8550
0.6272 0.0680 0.1353
0.6310 0.8840 0.9824
0.6720 0.8550 0.5639
0.6927 0.8469 0.7895
0.7241 0.0415 0.7310
0.7310 0.7241 0.0415
0.7349 0.0860 0.9543
0.7396 0.2575 0.8320
0.7604 0.9164 0.1766
0.7895 0.6927 0.8469
0.8135 0.2431 0.3318
0.8320 0.7396 0.2575
0.8457 0.9097 0.0139
0.8469 0.7895 0.6927
0.8550 0.5639 0.6720
0.8559 0.1042 0.1515
0.8840 0.9824 0.6310
0.8990 0.3127 0.1557
0.9097 0.0139 0.8457
0.9164 0.1766 0.7604
0.9260 0.2176 0.9668
0.9352 0.4442 0.0012
0.9543 0.7349 0.0860
0.9668 0.9260 0.2176
0.9824 0.6310 0.8840
0.9875 0.1229 0.3443
```



The following is a DFT calculation (PBE with a Hubbard U) of a relaxed structure of BiW2O8.

Summary:
Total DFT energy (no corrections) (eV/atom): -6.89
Energy above the lowest structure with this stoichiometry (eV per formula unit): 0.18
ΔH_f (0 K) (eV/atom): -1.886

Cell and atoms, written as POSCAR:
```
BiW2O8
1.0
5.3738 0.0000 0.0000
0.1091 5.9702 0.0000
2.2392 2.2345 5.2164
Bi W O
1 2 8
Direct
0.0000 0.0000 0.0000
0.2549 0.6742 0.5110
0.7451 0.3258 0.4890
0.1120 0.5081 0.3086
0.2254 0.9592 0.2767
0.2366 0.7648 0.7667
0.3595 0.3169 0.6755
0.6405 0.6831 0.3245
0.7634 0.2352 0.2333
0.7746 0.0408 0.7233
0.8880 0.4919 0.6914
```



The following is a DFT calculation (PBE with a Hubbard U) of a relaxed structure of Bi2WO6.

Summary:
Total DFT energy (no corrections) (eV/atom): -6.61
Energy above the lowest structure with this stoichiometry (eV per formula unit): 0.00
ΔH_f (0 K) (eV/atom): -1.957

Cell and atoms, written as POSCAR:
```
Bi2WO6
1.0
5.4865 0.0000 0.0000
0.0000 17.1078 0.0000
'''

"Unlike you, I have to live among them. I don’t have the money to put up a cushion between myself and what people are gossiping about me.” I wrap my arms about my waist.

"They only have to see us together to know what we have is real," Q counters.

"Did you two already sleep together?" Felix’s gaze widens.

And when I blush, he takes a physical step back like he can’t bear to be in my vicinity.

**Here the article breaks off for crystal structures:**
=====
Entry 1:
VASP calculation (PBE) on a relaxed Mn3Pt crystal.

Geometry as CIF:
```
data_Mn3Pt
_symmetry_space_group_name_H-M 'P m -3 m'
_symmetry_Int_Tables_number 221
_symmetry_space_group_name_Hall '-P 4 2 3'
_cell_length_a 3.8892
_cell_length_b 3.8892
_cell_length_c 3.8892
_cell_angle_alpha 90.00
_cell_angle_beta 90.00
_cell_angle_gamma 90.00
loop_
_atom_site_label
_atom_site_fract_x
_atom_site_fract_y
_atom_site_fract_z
Mn1 0.0000 0.0000 0.5000
Pt1 0.5000 0.5000 0.5000
```

Results
Crystal system: cubic
DFT total energy: -8.325 eV/atom
Energy relative to the elements: 25 kJ/mol of formula units

***

Entry 2:
VASP calculation (PBE) on a relaxed Mn3Pt crystal.

Geometry as CIF:
```
data_Mn3Pt
_symmetry_space_group_name_H-M 'P 63/m m c'
_symmetry_Int_Tables_number 194
_symmetry_space_group_name_Hall '-P 6c 2c'
_cell_length_a 5.2294
_cell_length_b 5.2294
_cell_length_c 4.0507
_cell_angle_alpha 90.00
_cell_angle_beta 90.00
_cell_angle_gamma 120.00
loop_
_atom_site_label
_atom_site_fract_x
_atom_site_fract_y
_atom_site_fract_z
Mn1 0.1511 0.3022 0.2500
Pt1 0.3333 0.6667 0.7500
```

Results
Crystal system: hexagonal
DFT total energy: -8.552 eV/atom
Energy relative to the elements: -63 kJ/mol of formula units

***

Entry 3:
VASP calculation (PBE) on a relaxed MnPt3 crystal.

Geometry as CIF:
```
data_MnPt3
_symmetry_space_group_name_H-M 'P m -3 m'
_symmetry_Int_Tables_number 221
_symmetry_space_group_name_Hall '-P 4 2 3'
_cell_length_a 3.9361
_cell_length_b 3.9361
_cell_length_c 3.9361
_cell_angle_alpha 90.00
_cell_angle_beta 90.00
_cell_angle_gamma 90.00
loop_
_atom_site_label
_atom_site_fract_x
_atom_site_fract_y
_atom_site_fract_z
Mn1 0.0000 0.0000 0.0000
Pt1 0.0000 0.5000 0.5000
```

Results
Crystal system: cubic
DFT total energy: -7.198 eV/atom
Energy relative to the elements: -136 kJ/mol of formula units

***

Entry 4:
VASP calculation (PBE) on a relaxed Mn6PtRh crystal.

Geometry as CIF:
```
data_Mn6PtRh
_symmetry_space_group_name_H-M 'P 4/m m m'
_symmetry_Int_Tables_number 123
_symmetry_space_group_name_Hall '-P 4 2'
_cell_length_a 3.6307
_cell_length_b 3.6307
_cell_length_c 7.2616
_cell_angle_alpha 90.00
_cell_angle_beta 90.00
_cell_angle_gamma 90.00
loop_
_atom_site_label
_atom_site_fract_x
_atom_site_fract_y
_atom_site_fract_z
Mn1 0.0000 0.0000 0.0000
Mn2 0.0000 0.0000 0.5000
Mn3 0.0000 0.5000 0.2486
Pt1 0.5000 0.5000 0.5000
Rh1 0.5000 0.5000 0.0000
```

Results
Crystal system: tetragonal
DFT total energy: -8.696 eV/atom
Energy relative to the elements: -112 kJ/mol of formula units

***

Entry 5:
VASP calculation (PBE) on a relaxed Mn2PtRh crystal.

Geometry as CIF:
```
data_Mn2PtRh
_symmetry_space_group_name_H-M 'F m -3 m'
_symmetry_Int_Tables_number 225
_symmetry_space_group_name_Hall '-F 4 2 3'
_cell_length_a 6.1758
_cell_length_b 6.1758
_cell_length_c 6.1758
_cell_angle_alpha 90.00
_cell_angle_beta 90.00
_cell_angle_gamma 90.00
loop_
_atom_site_label
_atom_site_fract_x
_atom_site_fract_y
_atom_site_fract_z
Mn1 0.2500 0.2500 0.2500
=====

"We didn’t sleep together," I insist.

"We almost did," Q confirms in the same breath.